Published on
July 8, 2014
Our occasional feature series The Archivist returns to profile multimedia label and research project Folklore Tapes.
Whether it’s the intricate cassette covers of their early releases hand-stamped with pagan patterning, the detailed kerning of the type used on the hollowed out hardback ‘books’ that house them, or the fact that their most recent 7×7″ box counts a pressed wild flower among its contents, Folklore Tapes is a label that feels like it could have existed in another era. Even the nature of its genesis, as a postal project between Devonshire natives David Chatton Barker and Ian Humberstone, seems decidedly arcane.
Yet despite all this, Folklore Tapes not only belongs in the 21st century, but is, in many ways, defined by it. While the objects themselves may reference a simpler time and the means of production strictly analogue, the project has enabled both David and Ian to explore their love for art, music and film, documented in detail on their fascinating blog.
What Folklore Tapes have also done which is similarly of our time is tap into a discontent with the digital to produce desirable hand-crafted objects that hope to tell a more complete story, where form and content are allied not averse, and concentration isn’t patronised by cheap thrills.
But what is it exactly? In broad strokes, it’s a research project undertaken by David and Ian to explore the UK’s tradition of regional folklore and manifested as hand-made limited edition cassettes, doctored field recordings and experimental film. The ethos is encapsulated by their first vinyl box set; a comprehensive celebration of the work of folklorist and trailblazer Theo Brown. Compared to Delia Derbyshire for her unswerving conviction in the face of massive prejudice from an exclusively male sphere, Brown documented the tales, myths and legends of her native Devon, explored by Folklore Tapes through the hand-me-down beliefs of seven Dartmoor Villages.
Each 7″ takes a village for its theme, recreating the folk tale as a textured soundscape built from in-situ field recordings that recall the ambitious soundtracks of electronic pioneers Pierre Henry and Karlheinz Stockhausen. Furthermore, the box set is accompanied by a DVD, shot entirely on 8mm film that has been left to decompose in the mud and leaves of the moor. With a pressed Dartmoor wild flower included in each of the 300 copies, they’ve left no stone unturned, no path untrodden.
With such meticulous care and attention given to the concept and execution of each release, Folklore Tapes are pulling the mysterious and neglected world of the country’s vernacular history out from the dusty vaults of archivists like Theo Brown and imbuing them with contemporary audio-visual life. Intrigued, we caught up with both David and Ian via email to find out more about this unique project.
On your website, Folklore Tapes is described as a research project rather than a record label. What is it that particularly fascinates you about British folk arcana?
Ian Humberstone: Folklore is a mysterious and ever-shifting entity, but one bound up with our ideas of identity and heritage. I think it’s this combination that makes the subject so appealing. These are tales and customs that belong to us all and help us understand our shared past, but which are often obscure, fragmentary, and neglected by contemporary society. Folklore is also a fertile ground for creativity, being the great untamed cultural terrain. We like to look under the rocks and down into the deep caves of this landscape to see what dwells there.
Contributors to Folklore Tapes have always been called ‘researchers’, as we wanted to highlight the research aspect of each release. The term ‘artist’ didn’t really seem to cut it, as it put the focus too much on the person researching the lore, rather than the lore itself.
Why choose to manifest this project in cassette releases? What is it about the format that appeals to you?
Ian: We both like to live the physical world, which means working with tangible things wherever possible in our art and music. The two sided nature of cassettes was also something we wanted to work with, and most of Folklore Tapes’ output has been split releases between two artists, each filling out one side of a tape with the overall release unified by a common theme.
As a conceptual project, the packaging of the releases has always been important; there are lots of different places you can go with a cassette (housing cassettes within a hollowed out hardback book has been a staple for us). We are also probably the last generation to have grown up with cassette mix-tapes and four-tracks, so there wasn’t a ‘rediscovery’ of the format for us, we’d just never stopped using them.
The artwork also seems to be very important. How is that determined?
David Chatton Barker: From the beginning the artwork was always a key component in the overall conception of an edition. As much as the myths and mysteries required a soundtrack so too did they need a visual identity. Also by way of drawing people into the project, as I always think with music/sound conceptual work people need an instant/accessible way in and this cannot always be immediately achieved by the content within, which requires the listener to spend time and immerse themselves in it.
Having a visual identity is very important for anything beyond the radio I’d say. Each visual element comes naturally from the subject matter and over time themes have arisen. Me and Ian love series/editions of records or books as we are both collectors so there is very much this element coming into the whole Folklore Tapes world.
Is the music created by yourselves? How does the music and visual element interact with the narrative?
Ian: The music for Folklore Tapes releases is always original and created by the artists. David and I wrote and played all the music on this latest release (although a field-recording taken at Widecombe churchyard does contain the parishioners inside singing – so that isn’t us).
I think if there’s a common thread to Folklore Tapes releases it’s that, unlike the 1970s folk-revivalists, we are not attempting to ‘update’ a particular tradition (a folk-song, for example) for a modern audience. Instead we are investigating the footnotes of English folklore and creating wholly new expressions from those accounts. The traditional element – the narrative, event or practice – comes first but is at all times informing the music, visuals and artwork.
Geographical lines of enquiry have also become important, as in many cases a plot of land or ruined house is the only tangible connexion left to us with a particular tradition. Field-trips are therefore taken, to collect field-recordings and organic matter from specific sites, and these elements work their way into a project, often in surprising ways.
Could you tell us a little bit about Theo Brown and why you decided to release her work now?
Ian: Theo Brown was a twentieth-century folklorist and artist from Devon. She published a number of books and articles, and became an Honorary Fellow at Exeter University and a member of the Devonshire Association and the Folklore Society. She also created intricate woodcut images and exhibited with the Devon-based Kenn Group.
I first came across her work as a student at Exeter University while writing a paper on Black Dog lore, Theo was an expert on the subject and my tutor recommended I look into some of her unpublished papers, which are kept in the library vaults there. In the archive I was struck by the passion of her writing and the spread of her field work, I remember seeing a number of boxes marked ‘Dartmoor’, which I didn’t have time to look at but earmarked for a later date. It was only last year with this latest project I finally got to see what was inside them.
When we started Folklore Tapes her work was a constant inspiration to us both and provided us with a wealth of information on a range of fascinating and forgotten topics. We grew increasingly interested in Theo Brown the person and wanted to pay tribute to her and her endeavours with an expansive special edition set.
Are there any myths or mysteries from her work that have particularly inspired you?
David: All the tales from Theo Brown and the Folklore of Dartmoor have so much meaning for us both because of how much time we’ve spent immersed in them, visiting the locations and essentially being possessed by them for the best part of a year. The tale of The Snaily House is certainly one of our favourites and we managed to find the ruins of the house on one of our trips to Dartmoor. (See the story below, taken from Theo Brown’s Tales of a Dartmoor Village)
This, once called White Slade, is now inside a Forestry Commission plantation, about a quarter of a mile downstream from Bellever Bridge, on the east bank. The Forestry Commission has avoided the ruins, but the clutter and brambles make it almost inaccessible. One tall, white, dead trunk marks the place. Here two lonely women once lived. They had no cattle, tended no garden and were never seen to approach the village for stores or company. Yet glimpses of them showed that they were fat and buxom. For years the mystery deepened, and people grew afraid of them and believed they must be witches and possess some horrible resources. Unable at last to bear the suspense, a party of villagers went over to the cottage, waited at a distance till they saw the ladies wander off on the moor and then broke into the house. They found it pitifully bare of any furniture or possessions, save for a number of cloam pots on the floor – filled with pickled snails and the black slugs of the moor. This was the sole diet of these eccentrics. The secret being out, the poor women lost heart and pined away.
The practice was not as barbarous as the Postbridge folk fancied. Snails have been consumed widely in the West Country, especially by people engaged in glass-blowing or by poor people generally; they are said to prevent and cure pulmonary tuberculosis and whooping cough: I have seen this done in the last few years locally, and it does seem to prevent whooping cough.
Could you give us an idea of a few of your previous tape releases?
David: Well the very first Devon Folklore Tape was ‘Two Witches’ by the two of us. We made 24 of the book editions with no idea how it would be received. At the time I was working with Finders Keepers Records so we sold half through their website and a few through Boomkat. We never started the project with the idea of selling them online really, at the time the project began I was living in Exeter and fully expected to sell the tapes in a few shops. Even though myself and Ian are fairly analogue in our general approach the internet has become an unpredictable key element in the whole project’s growth.
Now we distribute the editions through our own website, a few other website shops and several shops around the UK and Mount Analogue in the US. Other editions have covered topics such as the Pendle Witch Trials of 1612 (Lancashire Folklore Tapes Vol.I) Rituals and Practices (Devon Folklore Tapes Vol.IV) and Inland Water (Devon Folklore Tapes Vol.III). For the cassette release we generally do a run of thirty book editions with screen printed cover and research booklet and sixty envelope editions with screen printed card slip case and research booklet.
These calculated crystals were left in the entry by mistake:
____________
Entry from Alexandria: an optimized crystal structure of TaBeCo2 (PBE).

abc: 4.0838 4.0838 3.1051
angles: 90.00 90.00 110.09
Fractional coordinates of all 4 atoms:
1 Ta 0.0000 0.0000 0.0000
2 Be 0.5000 0.5000 0.0000
3 Co 0.3034 0.6966 0.5000
4 Co 0.6966 0.3034 0.5000

Values from the calculation:
The calculation puts the electronic total energy at -28.70 eV per cell. The total moment is 0.65 μB per cell. The energy of formation is 1.1 eV per formula unit.

=====

# GGA-PBE Hf2ScTa, relaxed
# Formation energy in eV per atom: 0.163
# DOS at the Fermi energy in states/eV/f.u.: 5.13
data_Hf2ScTa
_symmetry_space_group_name_H-M 'F m -3 m'
_symmetry_Int_Tables_number 225
_symmetry_space_group_name_Hall '-F 4 2 3'
_cell_length_a 6.9647
_cell_length_b 6.9647
_cell_length_c 6.9647
_cell_angle_alpha 90.00
_cell_angle_beta 90.00
____________
Here the entry continues:
The US has the Smithsonian institute and individuals like Alan Lomax and Harry Smith to preserve its vernacular music heritage. How influential has their work been on you and does the UK have an equivalent insitution?
David Chatton Barker: The Smithsonian Institute and the Folkways Label have both been very much on my radar from early on. As a devoted collector of vinyl I first came across Folkways because of their brilliant sleeve designs and thorough booklets. In England the Topic and Argo labels did an excellent job of revitalising folklore, customs and folksong. Most specifically the Radio Ballad series format by Ewan MacColl, Peggy Seeger and Charles Parker is something more on the same concept as Folklore Tapes.
The British Library sounds database is an excellent source of field sounds and oral history currently operating. Though there isn’t really a project releasing editions akin to Smithsonian that is continual, the idea from the start of Folklore Tapes was that this is something we’ll work on till the end of our days with other like minded folk and that it will out live us and be continued by others… we hope.
Theo Brown and the Folklore of Dartmoor is out now on Folklore Tapes and available to purchase from their online shop.